We strongly recommend to test out your games in real life before running them. To test a game you need first to create an event. Testing the games is free. You will not need to spend your credits to test games.
Use the same event for testing you are going to use for live event. Testing does not send up any results and team is not registered, so you are not messing up your results table when you test event that is about to go live.
There are two ways to Test your games:
1) How to test in Creator:
Select the game you want to test and in the pop up window now there will be a tab “Test Mode”.

**The piece is interrupted by calculated crystals:**
+++
Below is a relaxed structure of NdY2AlAu4, with properties calculated at the PBE level.

Cell lengths 4.9695, 4.9695, 8.9479 Å; angles 73.88, 73.88, 60.00 degrees
Fractional positions:
Au 0.8779 0.8779 0.3662
Y 0.7600 0.7600 0.7199
Au 0.6088 0.6088 0.1735
Al 0.5000 0.5000 0.5000
Au 0.1221 0.1221 0.6338
Y 0.2400 0.2400 0.2801
Nd 0.0000 0.0000 0.0000
Au 0.3912 0.3912 0.8265

Results
SG: R-3m

Below is a relaxed structure of NdAl2ZnAu4, with properties calculated at the PBE level.

Cell lengths 4.4394, 4.4394, 9.3851 Å; angles 76.32, 76.32, 60.00 degrees
Fractional positions:
Au 0.8663 0.8663 0.4011
Al 0.7585 0.7585 0.7246
Au 0.1337 0.1337 0.5989
Al 0.2415 0.2415 0.2754
Nd 0.0000 0.0000 0.0000
Au 0.6014 0.6014 0.1959
Au 0.3986 0.3986 0.8041
Zn 0.5000 0.5000 0.5000

Results
SG: R-3m

Below is a relaxed structure of NdAl2ZnAu, with properties calculated at the PBE level.

Cell lengths 4.3796, 4.3796, 6.1196 Å; angles 110.97, 110.97, 90.00 degrees
Fractional positions:
Au 0.7500 0.2500 0.5000
Zn 0.2500 0.7500 0.5000
Al 0.3791 0.3791 0.7582
Al 0.6209 0.6209 0.2418
Nd 0.0000 0.0000 0.0000

Results
SG: I-4m2

Below is a relaxed structure of NdAlZn3Au, with properties calculated at the PBE level.

Cell lengths 5.9057, 6.2291, 7.2185 Å; angles 115.56, 90.00, 90.00 degrees
Fractional positions:
Au 0.7500 0.6625 0.3249
Au 0.2500 0.3375 0.6751
Zn 0.5000 0.6971 0.0000
Zn 0.0000 0.3029 0.0000
Zn 0.2500 0.1303 0.2606
Al 0.2500 0.9285 0.8571
Zn 0.5000 0.3029 0.0000
Zn 0.7500 0.8697 0.7394
Nd 0.2500 0.7036 0.4072
Al 0.7500 0.0715 0.1429
Nd 0.7500 0.2964 0.5928
Zn 0.0000 0.6971 0.0000

Results
SG: Cmcm

Below is a relaxed structure of NdAlZn4Au2, with properties calculated at the PBE level.

Cell lengths 4.3950, 4.3950, 9.2913 Å; angles 76.32, 76.32, 60.00 degrees
Fractional positions:
Zn 0.8731 0.8731 0.3808
Nd 0.0000 0.0000 0.0000
Zn 0.1269 0.1269 0.6192
Au 0.7561 0.7561 0.7317
Zn 0.3980 0.3980 0.8061
Al 0.5000 0.5000 0.5000
Au 0.2439 0.2439 0.2683
Zn 0.6020 0.6020 0.1939

Results
SG: R-3m

Below is a relaxed structure of Nd3AlZn6Au2, with properties calculated at the PBE level.

Cell lengths 5.5736, 5.5736, 9.4539 Å; angles 90.00, 90.00, 120.00 degrees
Fractional positions:
Zn 0.8287 0.1714 0.7290
Nd 0.6667 0.3333 0.4112
Zn 0.3427 0.1714 0.7290
Au 0.6667 0.3333 0.9657
Nd 0.0000 0.0000 0.0000
Zn 0.1713 0.8286 0.2710
Al 0.0000 0.0000 0.5000
Zn 0.8287 0.6573 0.7290
Zn 0.6573 0.8286 0.2710
Zn 0.1713 0.3427 0.2710
Nd 0.3333 0.6667 0.5888
Au 0.3333 0.6667 0.0343

Results
SG: P-3m1

Below is a relaxed structure of NdAlZnAu2, with properties calculated at the PBE level.

Cell lengths 4.1813, 4.1813, 6.6581 Å; angles 108.30, 108.30, 90.00 degrees
Fractional positions:
Nd 0.0000 0.0000 0.0000
Au 0.6167 0.6167 0.2334
Zn 0.2500 0.7500 0.5000
Al 0.7500 0.2500 0.5000
Au 0.3833 0.3833 0.7666

Results
SG: I-4m2

Below is a relaxed structure of NdAlZn2Au5, with properties calculated at the PBE level.

Cell lengths 4.7759, 5.9213, 7.7964 Å; angles 112.32, 107.84, 90.00 degrees
+++
This will allow you to Test directly the specific game and also share the credentials to anyone you want to test it (e.g. your client or your facilitators). If you close the game it will not be accessible for testing.
Username is “test” by default and cannot be changed but you can generate as many passwords as you want.
Additionally, a separate Results Page link is available for Test Mode.
2) How to test with account credentials:
1) Start Loquiz app on your smart device.
2) Log in to the app with the same email and password you use for login to Loquiz creator. It is very important that you use a login from Loquiz creator instead of game specific username. When you log in to the game with game-specific username, testing is not possible and game list is not shown.
3) You are presented with a list of all open games. Press “Test” under the game name to play in test mode.

4) When the game is opened, press “Start” and begin testing, you can play through the full game.
Important in test mode:
- Credit will not be taken off your account balance, so you can test as much you need without losing any credit.
- All the testers will appear in “test” scope within the event so they do not mess up the general leaderboard.
- The results will only be accessible within test scope (more info down below)
- Word “TEST” is shown on the device screen.
- Additional link to online results page is shown in the game’s main menu. So instructors can easily access results via smart device when they are logged in with Loquiz username and password and test the game.
How to use fake location for testing?
You can use fake GPS location (mock location) for outdoor games only. Fake GPS tricks your device into thinking you are in a different location than you actually are. This way you can save time and test the tasks with locations more easily without moving from place to place. Fake location is available only in test mode.
To access fake GPS mode open the game you want to test IN TEST MODE and start playing, choose Fake location from main menu. Little red cross will be shown on the screen. Move the map and drag this cross over the task location which you want to open. To stop the fake location, go to menu and click on the Fake location button.
PS! For the fake location to work actual GPS location is also needed! Depending on your facilities you might need to go outdoor.
How to see your results when testing?
When testing special scope test is added to the players. All test player results will be available separately under test scope. To access that go to the games result page as usual and add “:test” at the end of the game ID. So it looks like
where GAME-ID is the actual ID of your game.
Only players that were started in test mode are displayed. PS! Loquiz is not counting test-mode players, nor devices.
Tip! You can create a special user for testing and distribute this with closest cooperators so they can test your games when ready using this user.
Read on how to start games for players.